You should take out 2 artifact and 2 meditation puzzle. Add 4 elvish mystic as mana generator and adding more power for will of the masses. As insurance against sweeper spell, consider replacing radiant fountain with Soul of New Phyrexia.

For budget friendly,

Phyrexian Revoker : Nullify any activated abilities, planeswalker for example

Silence The Believer : exile one or more target creature.  4+ mana

Indulgent tormentor :  every turn enemy lose 3 life or you get one more card to draw, and this demon can fly...

Phytotitan : recurring beater

Misplaced materials data.
- - -
## one
The following is a DFT calculation (PBE) of a relaxed Rb3LuO3 crystal.

Cell lengths 7.288, 7.288, 7.220 Å; angles 95.29, 95.29, 115.72 degrees
Fractional positions:
Rb 0.200 0.800 0.000
Rb 0.262 0.738 0.500
Rb 0.366 0.366 0.145
Rb 0.634 0.634 0.855
Rb 0.738 0.262 0.500
Rb 0.800 0.200 0.000
Lu 0.174 0.174 0.647
Lu 0.826 0.826 0.353
O 0.099 0.099 0.346
O 0.163 0.438 0.767
O 0.438 0.163 0.767
O 0.562 0.837 0.233
O 0.837 0.562 0.233
O 0.901 0.901 0.654

## two
The following is a DFT calculation (PBE) of a relaxed Rb3LuO3 crystal.

Cell lengths 7.918, 7.309, 11.657 Å; angles 90.00, 94.43, 90.00 degrees
Fractional positions:
Rb 0.064 0.122 0.155
Rb 0.064 0.378 0.655
Rb 0.359 0.172 0.922
Rb 0.359 0.328 0.422
Rb 0.374 0.696 0.808
Rb 0.374 0.804 0.308
Rb 0.626 0.196 0.692
Rb 0.626 0.304 0.192
Rb 0.641 0.672 0.578
Rb 0.641 0.828 0.078
Rb 0.936 0.622 0.345
Rb 0.936 0.878 0.845
Lu 0.160 0.587 0.066
Lu 0.160 0.913 0.566
Lu 0.840 0.087 0.434
Lu 0.840 0.413 0.934
O 0.103 0.048 0.405
O 0.103 0.452 0.905
O 0.251 0.651 0.542
O 0.251 0.849 0.042
O 0.307 0.058 0.687
O 0.307 0.442 0.187
O 0.693 0.558 0.813
O 0.693 0.942 0.313
O 0.749 0.151 0.958
O 0.749 0.349 0.458
O 0.897 0.548 0.095
O 0.897 0.952 0.595

On energetic grounds, two is preferred over the next structure by 0.009 eV/atom.

## one
The following is a DFT calculation (PBE) of a relaxed Lu2Sb2O7 crystal.

* total magnetization: 0.0 μB per formula unit
* largest piezoelectric modulus: 1.293 C/m²

Cell lengths 7.500, 7.500, 7.500 Å; angles 91.16, 119.78, 118.89 degrees
Fractional positions:
Lu 0.000 0.000 0.000
Lu 0.000 0.500 0.500
Lu 0.039 0.997 0.542
Lu 0.454 0.497 0.458
Sb 0.004 0.495 0.009
Sb 0.487 0.995 0.991
Sb 0.522 0.022 0.500
Sb 0.522 0.522 0.000
O 0.199 0.365 0.088
O 0.199 0.611 0.334
O 0.231 0.744 0.987
O 0.249 0.122 0.363
O 0.249 0.386 0.627
O 0.277 0.111 0.912
O 0.277 0.865 0.666
O 0.679 0.137 0.315
O 0.679 0.864 0.041
O 0.756 0.244 0.013
O 0.759 0.622 0.373
O 0.759 0.886 0.637
O 0.823 0.364 0.685
O 0.823 0.637 0.959

## two
The following is a DFT calculation (PBE) of a relaxed Lu2Sb2O7 crystal.

* total magnetization: 0.0 μB per formula unit

Cell lengths 7.500, 7.500, 18.282 Å; angles 90.00, 90.00, 120.00 degrees
Fractional positions:
Lu 0.000 0.832 0.167
Lu 0.000 0.849 0.667
Lu 0.151 0.151 0.000
Lu 0.168 0.168 0.500
Lu 0.175 0.682 0.011
Lu 0.318 0.494 0.344
Lu 0.494 0.318 0.656
Lu 0.506 0.825 0.678
Lu 0.682 0.175 0.989
Lu 0.825 0.506 0.322
Lu 0.832 0.000 0.833
Lu 0.849 0.000 0.333
Sb 0.000 0.314 0.667
Sb 0.000 0.324 0.167
Sb 0.171 0.672 0.502
Sb 0.314 0.000 0.333
Sb 0.324 0.000 0.833
Sb 0.328 0.499 0.835
Sb 0.499 0.328 0.165
Sb 0.501 0.829 0.169
Sb 0.672 0.171 0.498
Sb 0.676 0.676 0.500
Sb 0.686 0.686 0.000
Sb 0.829 0.501 0.831
O 0.009 0.333 0.292
O 0.020 0.823 0.533
O 0.025 0.853 0.283
O 0.055 0.451 0.804
O 0.102 0.659 0.395
O 0.147 0.172 0.617
O 0.172 0.147 0.383
O 0.177 0.198 0.866
O 0.198 0.177 0.134
O 0.199 0.683 0.138
O 0.244 0.687 0.607
O 0.313 0.557 0.940
O 0.317 0.516 0.471
- - -


(4 replies, posted in Decks and Deckbuilding)

Bloodhusk ritualist can reduce enemy card in hand, guul draz vampire can be useful in a pinch and kalastria highborn make you gain life whenever your vampire die.

As for rat, ravenous rat > typhoid rat


(5 replies, posted in Decks and Deckbuilding)

definitely ordruum veteran , it's not human while the majority of your creatures are. I bet you always choose human when using door of destinies smile

Or you can choose to using Burnished Heart. It doesn't have haste bonus but you get 2 tapped land in battlefield.

Heroes Reunion -> Unflinching Courage
Eyes in the sky -> Advent of the Wurm/White Sun Zenith
axebane stag ->Acidic Slime
Bountiful Harvest -> Soul's Attendant/Suture Priest
common bond -> Wolfir Silverheart

That's all i can think of for now...


(5 replies, posted in Decks and Deckbuilding)

how about generAtor servant? 1R 2/2. tap, Sacrifice Generator Servant: Add 2 to your mana pool. If that mana is spent on a creature spell, it gains haste until end of turn.

For creature... add more hydra? Vastwood Hydra, hydra broodmaster, or Savageborn Hydra.
As non creature i recommend Into the wilds and primeval Bounty.

Ramp up until you can cast Deadbridge Chant then enchant any great creature that come out with Followed Footstep. I had GB ramp deck with off color creature like colossal whale, stormbreath dragon and ruric Thar in the past. Add some chromatic lantern will make it better big_smile .


(5 replies, posted in Decks and Deckbuilding)

Protect your creatures with God's Willing and Banishing light for enemy potentially dangerous nonland permanent.

Where's Hedron Crab? That little creature can make your enemy mill 3 for every land you drop after him big_smile

I think you should take out from your current list:

Cobbled Wing x1
Fall of the hammer x1
Font of Vigor x2
Ring of Thune x1
Boros Cluestone x1
Ray of dissolution x1
Demolish x2

So your deck have exactly 60 card. But it's up to you.

Oh, and Solemn offering > ray of dissolution btw

Add more zombies smile

Diregraf ghoul  : B for 2/2
Gravecrawler   : can be cast from graveyard as long as you have another zombie
Black Cat         : free discard
spiteful returned : great at chipping enemy life
Ghoulraiser + gravedigger + cadaver Imp : recycling Zombies
Mutavault : for more creature
Skinrender : walking removal

One of my deck based on Debt to the Deathless,

Not really powerful neutral , but maybe you can get some idea from it.

Add Lightning Bolt and Lightning Helix for modern.

As for standard, some of your card aren't standard legal (Gisela etc from Innistrad Block) so you should change it, maybe with bestow/enchantment creature from Theros Block (Eidolon of Hope for example) and Eidolon of Countless Battle (your enchantment permanent + creature number matter wink ) plus 4 of Ethereal Armor (Great in enchantment heavy deck).

Replace Titanic growth with Banisher Priest for more controlling aspect.

I  would change vineweft with more raise the alarm. If you're gonna change it into mono white, consider replacing it with Triplicate Spirit.

Add some Gatecreeper Vine and Selesnya Guildgate for acceleration + free defender. You can also add Genesis Hydra or Yisan the Wanderer Wizard  from M15 to find/summon creature easier.


(1 replies, posted in Decks and Deckbuilding)

Definitely Warden of Evos Isle to make your flyer cheaper and Stormtide Leviathan as finisher (plus archetype of imagination so all your non flying creature can attack ) .

i think you should replace walking corpse (vanilla creature), scrapyard mongrel (there's no artifact), Nightmare (better in mono black), thoughtrender lamia (there's only 2 other enchantment) and necrobite (not really useful).

Add more Minotaur card especially fanatic of mogis /  rageblood shaman if you like tribal deck ( maybe 4 of  flurry of horns, it's fun smile ) , or burn spell.